States warn of ‘Band-Aids and duct tape’ for road maintenance

Roadworks at 5th Avenue in Midtown Manhattan, New York, on Oct. 22, 2022. Photo by Beata Zawrzel/NurPhoto via Getty Images
Lawmakers seek new funding sources as gas tax revenues begin a predicted decline.
This story is republished from Stateline. Read the original article.
PORTLAND, Ore. — As winter weather began arriving in mountain passes, the Oregon Department of Transportation issued a warning: The state was running out of money to plow roads and could “no longer maintain the state’s transportation system at the same level as we have in the past.” Drivers would need to anticipate delays and prepare to be stranded in poor weather.
The outcry was swift, particularly in the snowiest parts of Oregon.
Among those skeptical of the agency’s approach was state Sen. Lynn Findley, a Republican who represents a sprawling, sparsely populated district that covers the entire southeast quadrant of the state. The warning reminded him of scare tactics the National Park Service used when budget cuts loomed, threatening to shut down popular tourist attractions, he told transportation officials at a November public hearing.
“You’ve ‘Washington Monumented’ your budget problems, and the public does not trust it,” Findley said. “And it’s a major problem to deal with, and I’m not sure how you’re going to pull out of it.”
The public may have been “snow plowed,” but the tactic worked. By early December, Oregon Gov. Tina Kotek and legislative leaders, all Democrats, announced plans to boost the Oregon Department of Transportation budget by $19 million to pay for winter maintenance service. Next up? Revamping how the state pays for all its transportation needs.
“If I believe that there’s a credible safety threat, then you’ve got to fund it,” Oregon House Speaker Dan Rayfield said in an interview. “Safety on the road is paramount and that has to be done.”
Across the country, state transportation departments are warning that public safety is at risk if lawmakers don’t overhaul how road maintenance gets funded. Like other states facing shortfalls in their transportation maintenance budgets, Oregon blames declining gas tax revenues from more efficient cars and the wider adoption of electric vehicles, structural funding issues that limit how federal and state highway money can be spent, and inflation-driven cost increases.
States are trying creative new ways to fill the gap, from road use charges to delivery fees. And critics say states must stop prioritizing major new projects over basic maintenance needs.
Ultimately, we know a long-term solution is going to take everyone working together to redefine how the state pays for transportation projects.
– Maryland Transportation Secretary Paul Wiedefeld
In Maryland, transportation officials putting together their six-year transportation plan warned recently that construction projects, commuter bus service and road maintenance face severe cuts. The state has a $3 billion shortfall for the plan, blamed on higher costs and reduced tax and fee collections. Beyond maintenance cuts, the state may consider pulling back on several planned highway expansion projects, officials said.
Maryland also has seen the effects of inflation on labor and materials, and a decline in gas tax revenues, said Maryland Transportation Secretary Paul Wiedefeld.
“This is not a new problem for our state,” Wiedefeld said when announcing the state’s updated budget plan in December. “Ultimately, we know a long-term solution is going to take everyone working together to redefine how the state pays for transportation projects.”
Budget Priorities
Experts who scrutinize state transportation budgets say that many transportation departments are shortchanging maintenance to launch new projects, and that gas tax collections haven’t yet plummeted.
In Oregon, the state has diverted operations and maintenance funds to highway widening projects, said Joe Cortright, an economist in Oregon who runs the think tank City Observatory.
“The real issue here is not the aggregate amount of money that they have, but the decisions that they’re making to spend money on these giant construction projects,” said Cortright, who is critical of freeway expansion projects in his state. “We have these maintenance needs we’re neglecting because we’re throwing so much money into giant projects.”
Rep. Khanh Pham, a Democratic state lawmaker in Oregon who sits on the legislature’s Joint Committee on Transportation, has proposed a bill called “Fix it First” that would require the state’s Department of Transportation to prioritize maintenance. The agency would have to demonstrate before beginning new capital projects that they wouldn’t endanger the state’s ability to maintain the current system.
“Ultimately the reason that we can’t afford frequent snowplowing service is not because the gas tax is declining, but it is because we’re spending so much of our revenue on these large freeway projects,” Pham said. “And that is something not unique to Oregon.”
In Washington state, both Democratic Gov. Jay Inslee and Secretary of Transportation Roger Millar have urged lawmakers to prioritize existing infrastructure over new projects.
A draft version of the state’s 2024 Highway System Plan overseen by Millar’s department calls on the state to shift from the construction of new and bigger highways over the next 20 years and toward “investing in preservation, safety, and efficiency strategies.” Doing so, the plan suggests, “would provide more positive economic, safety, and equity benefits to more Washingtonians across the state.” If lawmakers don’t act, “you’re going to see more and more of the Band-Aids and duct tape,” Millar said last summer. (The state was recently ranked the worst in the nation for potholes.)
Finding Funding
Fuel taxes still represent the biggest source of state transportation budgets, according to the National Conference of State Legislatures. But gas tax collections are down as a proportion of states’ overall state transportation revenue, according to the National Association of State Budget Officers. Gas taxes made up 41.1% of state transportation revenue in 2016, the association said. By 2023, they made up 37.6%.
Currently, electric vehicles are a small portion of the overall vehicle mix in most states, but as consumers and businesses adopt greener options, gas tax collections will decline. Tax collections also are affected by post-pandemic commuting patterns that led to less driving, and increasingly fuel-efficient conventional automobiles.
Among the options states are considering to supplement or replace gas taxes are road use charges, which are based on the miles driven in a vehicle, not the amount of fuel consumed. States also are beginning to enact per-kilowatt hour fees at electric vehicle charging stations: Georgia, Iowa, Kentucky, Montana, Oklahoma, Pennsylvania and Utah all tax electricity consumed at public charging stations, according to the National Conference of State Legislatures.
States also are doing creative accounting to shift more money to maintenance. In Pennsylvania, the state relies on state and federal gas taxes for around 75% of its highway and bridge funding, said Alexis Campbell, a spokesperson for PennDOT. Until 2023, the Pennsylvania State Police also drew from gas tax revenues.
The state’s General Assembly in 2023 shifted $125 million in funding for the State Police away from the Motor License Fund, instead opting to pay for the law enforcement agency from its general fund. That’s expected to result in an increase of $1.25 billion for transportation over five years, Campbell said.
In Minnesota, Democratic Gov. Tim Walz signed a law that indexes the gas tax to inflation as well as imposes a 50-cent fee on deliveries valued at more than $100. The state is the second in the nation after Colorado to impose such a delivery fee, which will raise an estimated $59 million in its first year. Small businesses do not have to collect the fee, but it applies to retailers such as Amazon.
“We’ve kicked that can down the proverbial pothole road for decades,” Walz said after lawmakers passed the tax increases. “I’m really proud the legislature’s decided to come up with a means to fix this.”
Oregon state leaders acknowledge that their snowplow and winter maintenance budget is a small slice of the $4 billion devoted to road maintenance in the current two-year budget cycle. The money will come from the state’s general fund, not the usual transportation funding sources; it’s a budgetary patch until lawmakers take up a new transportation funding measure in their 2025 session.
In 2023, Oregon lawmakers increased vehicle registration fees to stave off additional DMV office closures and service reductions. But the direct impacts to winter maintenance “were not known” at the time, said Anca Matica, a spokesperson for the governor’s office.
The state is at the end of a transportation funding package passed in 2017. Lawmakers will take up a new one in the 2025 legislative session; alternative funding structures are on the table. Among the fixes are raising vehicle registration fees or indexing gas taxes to inflation — the same approach Minnesota took. If nothing is done, though, the state Department of Transportation says it faces a $720 million transportation deficit by 2027.
While maintenance may not be as eye-catching or exciting as new projects, it is critical, Pham said.
[Data records, as found in the file]
/*
[1]
SrTmGe2Pd5 | PBE-GGA | optimized geometry

abc: 4.390 4.390 8.851
angles: 90.00 90.00 90.00
Space group P4/mmm (No. 123)
Inequivalent atoms, fractional coordinates:
Sr 0.000 0.000 0.000 (multiplicity 1)
Tm 0.000 0.000 0.500 (multiplicity 1)
Ge 0.500 0.500 0.361 (multiplicity 2)
Pd 0.000 0.500 0.240 (multiplicity 4)
Pd 0.500 0.500 0.000 (multiplicity 1)

Properties
As for the formation energy: -650 meV per atom.



[2]
SrV2GePd | PBE-GGA | optimized geometry

abc: 4.765 4.765 5.250
angles: 90.00 90.00 90.00
Space group P4/mmm (No. 123)
Inequivalent atoms, fractional coordinates:
Sr 0.000 0.000 0.000 (multiplicity 1)
V 0.000 0.500 0.000 (multiplicity 2)
Ge 0.000 0.000 0.500 (multiplicity 1)
Pd 0.500 0.500 0.500 (multiplicity 1)

Properties
As for the formation energy: 2195 meV per atom.



Let's list M_tot in order: 0.000 0.910 μB/atom.

=====

Density functional theory data (PBE) for Be2CoTe after structural relaxation.

The structure in POSCAR format:
```
Be2CoTe
1.0
3.7399 0.0000 0.0000
0.0000 3.7399 0.0000
0.0000 0.0000 3.6038
Be Co Te
2 1 1
Direct
0.0000 0.5000 0.0000
0.5000 0.0000 0.0000
0.0000 0.0000 0.5000
0.5000 0.5000 0.5000
```

Values from the calculation:
**Fermi-level density of states**: 1.65 states/eV/cell
**Space-group type**: P4/mmm
**Theoretical density**: 6.74 g/cm³
**Energy relative to the elements, uncorrected**: 0.41 eV per atom
**Total magnetization**: 0.000 μB/cell


Density functional theory data (PBE) for BeCo3Te after structural relaxation.

The structure in POSCAR format:
```
BeCo3Te
1.0
3.9952 0.0000 0.0000
0.0000 3.9952 0.0000
0.0000 0.0000 3.9952
Be Co Te
1 3 1
Direct
0.0000 0.0000 0.0000
0.0000 0.0000 0.5000
0.0000 0.5000 0.0000
0.5000 0.0000 0.0000
0.5000 0.5000 0.5000
```

Values from the calculation:
**Fermi-level density of states**: 3.10 states/eV/cell
**Space-group type**: Pm-3m
**Theoretical density**: 8.16 g/cm³
**Energy relative to the elements, uncorrected**: 0.39 eV per atom
**Excess energy over the best structure of this formula in the dataset**: 0 meV/atom
**Total magnetization**: 3.184 μB/cell


Density functional theory data (PBE) for BeCo2Te after structural relaxation.

The structure in POSCAR format:
```
BeCo2Te
1.0
0.0000 2.9642 2.9642
2.9642 0.0000 2.9642
2.9642 2.9642 0.0000
Be Co Te
1 2 1
Direct
0.0000 0.0000 0.0000
0.5000 0.5000 0.5000
0.7500 0.7500 0.7500
0.2500 0.2500 0.2500
```

Values from the calculation:
**Fermi-level density of states**: 6.09 states/eV/cell
**Space-group type**: F-43m
**Theoretical density**: 8.11 g/cm³
**Energy relative to the elements, uncorrected**: 0.49 eV per atom
**Excess energy over the best structure of this formula in the dataset**: 316 meV/atom
**Total magnetization**: 1.569 μB/cell


Density functional theory data (PBE) for Be2CoTe after structural relaxation.

The structure in POSCAR format:
```
Be2CoTe
1.0
-1.8266 1.8266 3.7951
1.8266 -1.8266 3.7951
1.8266 1.8266 -3.7951
Be Co Te
2 1 1
Direct
0.2500 0.7500 0.5000
0.7500 0.2500 0.5000
*/
“As a legislator, it’s my job to make sure that we are prioritizing investments in our basic services. And maintaining our streets is one of the government’s basic responsibilities,” Pham said. “It is about so much more than just snowplows.”